Petition to the Mayor

With growing dissatisfaction at the lack of action on new cycleways IWBC members have started a Petition to the Mayor on getting on with design and construction.

The petition was delivered to Council in May and Councillor Dylan Griffiths (Greens) proposed a Notion of Motion supporting the action items in the petition. A fire alarm emptied the Council meeting in May before it could be considered, and it was rescheduled for the Extra meeting on June 4, at the Council chambers in Ashfield.

Result: Council passed the motion unanimously. Thanks to Clr Griffiths fir proposing the motion and to Clr Stephens (Labor) for his support.

There was an IWBC bike ride to the May Council meeting and several riders spoke in support of the motion, before the fire alarm!

Another ride was planned for June 4, to keep up the pressure on Councillors, but unfortunately no speakers allowed this time- we had our chance first time around apparently. Ride met at Leichhardt Town Hall at 530 pm. See past event on

Council’s Response was given in item 15 in the 13 August Council Meeting. contains useful information on current projects.

Here are the 3 minute talks to Inner WestCouncil in support of IWBC Petition, May 2024:

'''
(1)
41
Properties=species:S:1:pos:R:3 method="wB97M-V/def2-TZVPD" total_energy_ev=-27337.445 total_charge=+1 homo_energy_ev=-11.5 fmax_ev_per_a=3.06
N 2.6233 -5.1984 -0.2497
N 2.1120 -3.9250 -0.5970
C 3.1234 -2.8919 -0.5126
O 4.0721 -2.9035 0.1631
F 2.9110 -1.7705 -1.2872
C 0.8373 -3.6161 0.0993
O -0.1370 -3.9369 -0.4472
F 0.7160 -2.9940 1.3145
H 3.0186 -5.6330 -1.0979
H 3.2544 -5.2077 0.5726
H 1.8044 -5.7841 0.0098
C 1.0295 3.2469 -0.5196
C 2.3077 2.9410 0.2391
O 2.0949 2.6283 1.6088
C 1.2796 1.5029 1.8745
C 1.8230 0.2071 1.2966
H 0.4937 4.0724 -0.0471
H 1.2564 3.5213 -1.5518
H 0.3532 2.3900 -0.5418
H 2.9504 3.8227 0.2234
H 2.8741 2.1389 -0.2492
H 0.2549 1.6870 1.5348
H 1.2295 1.4093 2.9616
H 1.8841 0.2357 0.2059
H 1.1799 -0.6316 1.5718
H 2.8310 0.0186 1.6763
C -2.0498 -0.2536 -1.3211
C -2.2061 0.3934 0.0451
O -2.4229 1.7917 -0.0107
C -3.5837 2.2198 -0.7098
C -4.8798 1.6858 -0.1268
H -1.2273 0.2101 -1.8716
H -1.8433 -1.3218 -1.2141
H -2.9493 -0.1473 -1.9284
H -1.2831 0.2476 0.6122
H -3.0024 -0.0898 0.6223
H -3.4982 1.9733 -1.7732
H -3.5922 3.3099 -0.6479
H -4.9306 0.5962 -0.1741
H -5.7352 2.0833 -0.6758
H -4.9732 1.9719 0.9231



(2)
36
Properties=species:S:1:pos:R:3 method="wB97M-V/def2-TZVPD" total_energy_ev=-34380.073 total_charge=-1 homo_energy_ev=-2.4 fmax_ev_per_a=0.77
C 1.9359 1.4180 1.0710
C 2.4700 0.1119 0.4449
C 1.5567 -1.0898 0.6093
Cl 2.5336 -2.6246 0.6271
C 0.4316 -1.3013 -0.4380
C -0.3891 -0.0866 -0.4868
N -1.0308 0.8636 -0.5270
C 1.0478 -1.5696 -1.8402
C 0.1802 -1.2273 -2.9579
N -0.5294 -0.9710 -3.8222
C -0.5090 -2.4874 -0.0289
C -1.9931 -2.1320 -0.0146
C -2.3954 -1.3770 1.2579
C -3.3004 -0.1679 1.1388
O -3.6008 0.4903 2.0890
O -3.7694 0.1104 -0.1174
H 1.7084 2.1744 0.3073
H 2.7149 1.8725 1.6790
H 1.0510 1.2482 1.6883
H 3.4162 -0.1617 0.9105
H 2.6913 0.2855 -0.6110
H 1.0807 -1.0548 1.5894
H 1.9892 -1.0324 -1.9516
H 1.2619 -2.6338 -1.9231
H -0.3362 -3.3080 -0.7244
H -0.2120 -2.8553 0.9547
H -2.2477 -1.5645 -0.9079
H -2.5737 -3.0543 -0.0726
H -2.8725 -2.0717 1.9517
H -1.5230 -0.9796 1.7844
H -3.1093 0.6576 -0.5766
C 0.8968 4.9782 -0.2290
O 1.9161 4.1113 -0.0630
H 0.9749 5.6381 -1.1371
H -0.1171 4.5031 -0.3355
H 0.7586 5.7094 0.6147

~~~~~

Entry 1:
16
Properties=species:S:1:pos:R:3:forces:R:3:mulliken_charge:R:1 method="wB97M-V/def2-TZVPD" homo_lumo_gap_ev=8.806 e_tot_ha=-288.77236 e_above_lowest_ev=0.2635 e_homo_ev=-7.755 multiplicity=1 smiles=Cc1cc[nH]c1C
C -0.794 1.193 1.412 0.0 0.1 0.1 -1.29
C -0.285 0.679 0.092 0.1 -0.2 0.0 1.03
C -0.243 1.330 -1.181 0.1 0.0 0.0 -0.73
C 0.184 0.398 -2.115 -0.1 0.0 0.1 -0.52
N 0.431 -0.763 -1.432 0.0 -0.1 0.1 0.00
C 0.172 -0.602 -0.101 0.0 0.1 0.1 -0.06
C 0.606 -1.628 0.881 0.0 -0.1 0.2 -1.25
H -0.899 2.282 1.449 0.1 -0.1 -0.1 0.33
H -0.135 0.899 2.236 0.0 0.1 -0.1 0.32
H -1.783 0.771 1.638 0.2 0.1 -0.1 0.26
H -0.407 2.400 -1.271 -0.2 -0.4 -0.5 0.37
H 0.331 0.348 -3.191 -0.1 0.6 0.3 0.39
H 0.626 -1.661 -1.841 0.1 0.2 -0.1 0.22
H 0.298 -1.328 1.885 0.0 -0.2 -0.1 0.30
'''

IWBC Petition: Safe Cycling in the Inner West. By Neil Tonkin, IWBC.

“As we are all aware Inner West Bicycle Coalition has long been advocating for Council to change our street environments to allow our community to safely get about by bicycle and reduce motor traffic congestion.The community could benefit from separated cycleways, cycle orientated road treatments and lower speed environments. Pedestrians and public transport users could also benefit. The health, environmental, public amenity and social equity benefits are well documented.

Our member groups over the years have been patiently working with our local councils and the merged Inner West Council urging these improvements.

Although Inner West Council promotes active transport over private car use we have seen minimal on-ground improvement of cycling conditions. In fact, I have stated on at least two occasions at this lectern that recent Council progress on building new cycle facilities has been glacial.

Our member groups and followers are in touch with people who cycle and the message we constantly receive is: What is Council doing about making cycling safer and better? Climate change is upon us, we are surrounded by road congestion, the road toll is on the increase and society is becoming increasingly unhealthy due to lack of daily physical exercise. It is no surprise that in just over eight weeks Bike Marrickville’s petition had gathered over 1,000 signatures.

Inserted here: calculated molecules:
'''
1.
Entry from OMol25: a molecular structure, C35H36CaClFN5O3PSe3Te (ωB97M-V/def2-TZVPD).

The geometry in XYZ format:
```
87
Properties=species:S:1:pos:R:3:lowdin_charge:R:1
Ca -1.7119 0.3271 -2.4045 0.800
Cl 1.6433 0.0884 -2.0458 0.754
C 2.7294 1.1578 -2.8782 -0.643
C 4.0555 0.7903 -3.0257 -0.107
C 4.9264 1.6461 -3.6833 -0.085
C 4.4671 2.8542 -4.1854 -0.082
C 3.1349 3.2102 -4.0301 -0.078
C 2.2406 2.3713 -3.3694 -0.391
P 0.4397 2.6905 -3.2075 1.013
C 0.2251 4.1759 -4.2543 -0.429
C -0.0954 3.9588 -5.5928 -0.146
C -0.2653 5.0265 -6.4603 -0.075
C -0.1339 6.3257 -5.9925 -0.084
C 0.1711 6.5525 -4.6580 -0.080
C 0.3531 5.4836 -3.7925 -0.085
C 0.3867 3.4043 -1.5228 -0.309
C -0.9776 3.4228 -0.8880 -0.221
C -1.0775 4.0493 0.5198 -0.188
C 0.1902 4.6075 1.0820 -0.015
C 1.3587 4.4594 0.4652 -0.057
C 1.4575 3.8460 -0.8579 -0.062
H 4.3930 -0.1592 -2.6329 0.103
H 5.9634 1.3623 -3.8066 0.103
H 5.1454 3.5208 -4.7021 0.103
H 2.7789 4.1515 -4.4298 0.103
H -0.2348 2.9457 -5.9513 0.091
H -0.5209 4.8446 -7.4960 0.106
H -0.2814 7.1616 -6.6642 0.101
H 0.2632 7.5656 -4.2872 0.102
H 0.5939 5.6667 -2.7531 0.100
H -1.7184 3.8360 -1.5741 0.084
H -1.8841 4.7809 0.5594 0.158
H 0.1189 5.0791 2.0541 0.112
H 2.2675 4.8243 0.9282 0.103
H 2.4382 3.7913 -1.3162 0.106
Se -3.4369 -2.0152 -2.8851 -0.187
Se -4.7966 -0.5364 -4.0843 -0.261
Te -4.6526 1.5940 -2.7429 0.220
Se -2.9236 2.9327 -3.9615 -0.202
F -0.6338 -5.4424 0.9372 0.037
C -0.5700 -4.2175 1.5368 -0.222
C -0.6484 -3.0967 0.7794 0.065
C -0.6524 -1.8098 1.4031 -0.079
C -0.8125 -0.6628 0.6107 -0.322
O -0.9109 -0.7455 -0.6576 -0.289
C -0.9354 0.6339 1.3088 -0.053
C -0.7709 0.6309 2.7049 0.034
N -0.5343 -0.5067 3.4326 -0.023
C -0.4267 -0.3940 4.8567 -0.285
C 0.8709 -0.7624 5.5155 -0.108
C 0.4515 0.6755 5.4259 -0.095
C -0.5398 -1.7535 2.8313 -0.141
C -0.4440 -2.9261 3.5623 0.024
C -0.4554 -4.1808 2.9365 -0.203
N -0.4386 -5.3560 3.7546 -0.141
C 0.3482 -6.4949 3.3113 -0.140
C 0.4147 -7.4921 4.4912 -0.079
N 0.0184 -6.7307 5.7186 0.030
C -1.4457 -6.3995 5.6809 -0.081
C -1.7196 -5.8073 4.2828 -0.123
C -1.2666 1.7971 0.6791 -0.272
O -1.4867 2.9509 1.3683 0.039
O -1.3989 2.0381 -0.6638 -0.128
H -0.7632 -3.1587 -0.2936 0.127
H -0.8315 1.5472 3.2683 0.126
H -1.3414 -0.6250 5.3964 0.150
H 1.6653 -1.0895 4.8589 0.110
H 0.8317 -1.2575 6.4770 0.096
H 0.9830 1.3030 4.7248 0.105
H 0.1117 1.1762 6.3212 0.102
H -0.3480 -2.8931 4.6401 0.098
H 1.3419 -6.1377 3.0423 0.139
H -0.0715 -7.0084 2.4427 0.121
H 1.4092 -7.9063 4.6380 0.130
H -0.2964 -8.3092 4.3849 0.131
H 0.4956 -5.8233 5.6483 0.178
H 0.2781 -7.2089 6.5775 0.179
H -1.6278 -5.6766 6.4741 0.131
H -2.0030 -7.3116 5.8844 0.129
H -2.3932 -4.9587 4.3631 0.136
H -2.1956 -6.5550 3.6343 0.134
N -1.0403 -1.3353 -5.3742 -0.072
N -1.3410 -0.0230 -4.8807 -0.206
H -1.4203 -1.4468 -6.3093 0.062
H -1.5611 -1.9745 -4.7747 -0.043
H -2.2647 0.3013 -5.1713 -0.021
H -0.6614 0.6290 -5.2523 0.036
```

Calculated values
E_HOMO (alpha / beta) = -4.53 / -5.20 eV
HOMO-LUMO gap (alpha / beta) = 3.29 / 3.96 eV



2.
'''
End of the calculated molecules:

Council knows Transport NSW offers capital funding for design and building of bicycle infrastructure under it’s Get Active program. Only recently the Federal Government has also made similar funding available under its Active Transport Fund.We have met with council officers at a senior level and have been assured that Council has the capability to initiate and manage cycle infrastructure projects, yet no new ones have been started in this term of Council.Why is this so?Extra state funding was also made available during Covid to encourage physical activity by building pop-up cycleways, but this council failed to avail itself of this opportunity, unlike the progressive City of Sydney.

39
Properties=species:S:1:pos:R:3:forces:R:3:mulliken_charge:R:1 method="wB97M-V/def2-TZVPD" orbital_gap_ev="7.01 / 7.08" total_charge=+1 multiplicity=4 lumo_ev="-5.553 / -5.481" de_lowest_kcal_mol=32.1 s2=3.76
V -2.039446 -0.042554 -1.981974 1.69 1.17 1.29 1.23
O -1.171762 0.265991 -0.254756 -0.83 -0.65 -1.28 -0.90
H -0.774682 -0.467845 0.232863 -0.11 -0.10 -0.01 0.38
C 0.141608 0.747123 -4.951855 0.37 0.28 -0.43 -0.95
C -0.568019 1.816489 -4.164116 0.13 0.32 -0.03 -0.23
O -0.740127 1.404906 -2.773433 -0.83 -0.25 -0.33 -0.39
H 1.196975 0.717705 -4.681539 -0.09 -0.37 0.25 0.26
H 0.142631 0.983678 -6.018761 -0.21 0.10 0.06 0.38
H -0.333259 -0.232121 -4.857324 0.09 -0.04 0.13 0.25
H -1.529326 2.086509 -4.605808 -0.18 -0.25 0.32 0.33
H -0.000944 2.746020 -4.132038 0.11 -0.07 -0.07 0.28
H -0.025022 1.809494 -2.198904 0.03 -0.30 0.01 0.47
C -0.723535 -3.453765 0.845057 0.05 0.22 0.76 -0.65
C -1.359405 -3.734384 2.199176 0.02 -0.29 0.16 -0.16
O -2.186632 -4.895461 2.107275 0.11 0.33 -0.07 -0.53
H -1.479595 -2.978232 0.218970 0.14 -0.17 -0.40 -0.01
H -0.328814 -4.374015 0.424306 -0.16 0.00 -0.25 0.35
H 0.120494 -2.779025 1.010666 -0.06 0.13 -0.23 0.26
H -1.955918 -2.870698 2.515913 -0.05 -0.09 0.00 0.09
H -0.582333 -3.865589 2.957742 0.00 -0.11 -0.06 0.31
H -2.011538 -5.474591 2.852546 -0.05 0.03 0.03 0.32
C 0.368519 -0.511598 3.245752 -0.59 -0.75 -0.66 -0.64
C -0.958690 0.229975 3.351883 0.11 -0.62 1.09 -0.19
O -1.041069 1.335217 2.508001 -0.09 0.62 -0.40 -0.48
H 1.231299 0.084518 3.521535 0.00 0.06 0.16 0.27
H 0.506877 -0.866177 2.212170 0.12 0.28 0.00 -0.02
H 0.313067 -1.451446 3.805032 0.21 0.28 0.33 0.32
H -1.094313 0.584266 4.377919 0.21 0.27 -0.11 0.32
H -1.804448 -0.467659 3.251993 0.10 0.00 -0.48 0.18
H -1.099829 1.051197 1.587951 -0.12 0.00 0.10 0.24
C 3.063235 2.999324 -0.558571 -0.11 0.15 0.07 -1.33
C 1.860249 2.363486 0.094749 -0.01 -0.33 0.02 0.01
O 1.048697 1.731752 -0.927042 0.08 0.44 -0.39 -0.70
H 2.765338 3.791403 -1.247166 -0.02 -0.05 -0.03 0.33
H 3.657257 2.262177 -1.096803 -0.03 -0.03 -0.01 0.32
H 3.693660 3.454424 0.205641 0.01 -0.03 0.01 0.38
H 1.271935 3.080681 0.671358 -0.06 0.07 -0.20 0.34
H 2.172778 1.581028 0.794373 0.02 0.05 -0.07 0.20
H 0.254101 1.337808 -0.542796 0.02 -0.30 0.72 0.35

* * * * *

Entry 1:
This record from the OMol25 dataset describes a 8-piece molecular cluster, C51H37BN2O16 overall at a distorted geometry. The level of theory is ωB97M-V/def2-TZVPD.

The value obtained for the orbital gap is 0.266 Eh. The SMILES is OB(O)Cc1cccc2nccnc12.O=C1C=CC(=O)C=C1.O=C1C=CC(=O)C=C1.O=C1C=CC(=O)C=C1.O=C1C=CC(=O)C=C1.O=C1C=CC(=O)C=C1.O=C1C=CC(=O)C=C1.O=C1C=CC(=O)C=C1. For the LUMO energy, the calculation gives -1.8266 eV.

Each line ends with the Mulliken charge.
CARTESIAN COORDINATES (ANGSTROEM)
O (9.32, 1.74, -2.30)  -0.552
B (8.78, 2.78, -3.12)  0.607
O (9.02, 2.68, -4.50)  -0.575
C (7.93, 3.94, -2.39)  -0.972
C (6.43, 4.02, -2.79)  0.984
C (5.96, 5.32, -3.29)  -0.700
C (4.51, 5.55, -3.68)  -0.884

Is it no wonder that our members are rightly asking:What is Council doing about making cycling safer and better? We urge Council to seriously consider the challenge that this petition presents, pass the motion and get moving on starting new cycleway projects.”


By Fiona Campbell, Bike Marrickville and City of Sydney Cycleway Manager-

“It was 24 years ago when I first spoke at a Marrickville Council meeting – to talk about the community benefits of more people riding and to urge council to keep, not axe, its tiny bike budget, and do more for cycling.
I thought about reading you my speech from 2000, but these days, you all know about the benefits of more people riding, and you know that a very healthy majority of the population agree. And, in recent years, the Inner West Council has done some really fantastic work – the GreenWay is becoming a reality, the Carrington Road cycleway upgrade is so great, Regional Route 7 – the cycleway along the rail line between almost Summer Hill and Newtown – is almost all very good, and more.
Inner West has so much potential. Did you know that in the 2011 census when the City of Sydney only just started building cycleways, it was Marrickville and Leichhardt leading the way, with higher proportions of work trips by bike than the City of Sydney? (MV 4.39%, L 3.81% & CoS 3.64%). Inner West could re-take that lead with the safe connected bike network that its community wants.
We know each project is hard. There are many hurdles. There are always some people who object, and that takes some fortitude, but the community as a whole is behind you. But you CAN do this, and the community, almost all of them, will thank you for it. Everyone will benefit from better health, safer streets, safer climate, and even – for those who still drive, it will be easier to park and drive in the long run, overall. You can do this.”
